This weekend I picked off another home goal from my 2011 list and put an end to any peeping tom foolery in my master bathroom windows.
OK, so maybe I’m a little bit paranoid, especially since the master bath is on the second floor, but I feel as if people can look in between the blinds and the window and see me all nakey.
I decided that this year I would add some curtains, so I could rest easy when I’m waltzing around in my birthday suit, plus it would warm up the room a bit and the windows wouldn’t look so nakey either…
The tile on the floor and in the shower & surrounding the tub is a slate-like ceramic tile with a hint of light blue & teal blue…
…so I opted for teal blue as an accent color for an otherwise neutral room. I purchased 4 curtain panels for $9.99 each as well as 2 curtain rods at Target…
The wild fabric behind the box is the ironing board cover that I made…
…and got to work prepping to hang curtains.
Of course, I hit a snag. Literally.
Usually this would send me back to the store to return the item in a fit of frustration, but since I’m basically a lazy human being, I decided to see if I could remedy the problem myself with the help of my knitpicker.
At least that’s what I think it’s called. It’s what my mom the knitter calls it. The handy dandy knitpicker is a tool used to pull snags through knits. It can also be used on looser weaves such as this one.
So I knitpicked the snag…
And pulled it through to the other side of the curtain…
Crisis averted. Then I went about the business of hanging the curtain rods and the curtains. No small task considering that I had to work around this large garden tub…
I suppose I could have put a stepladder in the tub to work on, but that would have meant stopping the project & going downstairs, and as I’ve already stated, I’m basically a lazy human being, so I did it the hard way, precariously balancing, rockclimbing my tub like Tom Cruise in Mission Impossible 2.
Nevertheless, the curtains were hung by the bathtub with care.
But I didn’t like the way the inner part of the curtain looked on the rod. Not as gathered as the rest of the curtain.
Simple enough to solve with some large safety pins.
Since these curtains will be remaining open, I pinned the back of the pocket to make it more gathered up. Here’s the end result…
Definitely solves the problem of covering the openings on the sides of the blinds. They warm up the room and they have great texture.
To be honest, I’m not sure I’m in love with the color. Seems a wee bit too bright. I’m usually not crazy about short curtains, and these seem to have a highwater feel to them, but considering that they’re right by the tub, and that the tub is used exclusively by my 10-year-old son who doesn’t care a whole lot about whether or not curtains get wet, they probably should be highwaters.
For now I’m keeping them. Maybe someday I’ll switch them out if they don’t grow on me more.
Also, I’d like to give a shout out to my special helper, Max, who was with me through this entire project…
Another 2011 house goal complete!
Max was your supervisor, i assume?
But of course! The silent, stern type. A bit intimidating…
Next to the entry, the page also holds materials data >
'''
# ZnBi2B2O7, relaxed, DFT r²SCAN
data_ZnBi2B2O7
_symmetry_space_group_name_H-M 'P b a 2'
_symmetry_Int_Tables_number 32
_symmetry_space_group_name_Hall 'P 2 -2ab'
_cell_length_a 10.8220
_cell_length_b 10.9714
_cell_length_c 4.9014
_cell_angle_alpha 90.00
_cell_angle_beta 90.00
_cell_angle_gamma 90.00
loop_
_atom_site_label
_atom_site_fract_x
_atom_site_fract_y
_atom_site_fract_z
Zn1 0.2418 0.2411 0.0000
Bi1 0.0144 0.3140 0.5085
Bi2 0.1790 0.9692 0.5120
B1 0.0143 0.8724 0.0554
B2 0.1163 0.5197 0.0107
O1 0.0000 0.0000 0.1458
O2 0.0000 0.5000 0.8865
O3 0.0212 0.8590 0.7588
O4 0.0875 0.2017 0.1790
O5 0.1291 0.8263 0.1988
O6 0.1349 0.4780 0.2674
O7 0.1984 0.5842 0.8607
O8 0.2000 0.3265 0.6682
# VASP energy: -17.16 eV/atom

# Gd3BBr3, relaxed, DFT r²SCAN
data_Gd3BBr3
_symmetry_space_group_name_H-M 'I 41 3 2'
_symmetry_Int_Tables_number 214
_symmetry_space_group_name_Hall 'I 4bd 2c 3'
_cell_length_a 11.3841
_cell_length_b 11.3841
_cell_length_c 11.3841
_cell_angle_alpha 90.00
_cell_angle_beta 90.00
_cell_angle_gamma 90.00
loop_
_atom_site_label
_atom_site_fract_x
_atom_site_fract_y
_atom_site_fract_z
Gd1 0.1048 0.3548 0.1250
B1 0.1250 0.1250 0.1250
Br1 0.1171 0.1329 0.6250
# VASP energy: -26.79 eV/atom

Formation enthalpy at 0 K in eV per atom, matching the order above: -1.958, -1.456

* * * * *

1.
Computed, not measured: an optimized crystal structure of SrIn2S4 at the PBE-GGA level of DFT.

Results
DFT formation energy = -1333 meV/atom
Crystal system = orthorhombic

POSCAR file:
```
SrIn2S4
1.0
0.0000 10.6445 10.7201
6.5966 0.0000 10.7201
6.5966 10.6445 0.0000
Sr In S
8 16 32
direct
0.1216 0.6284 0.1216
0.1250 0.1250 0.1250
0.3716 0.8784 0.3716
0.3750 0.3750 0.3750
0.6250 0.6250 0.6250
0.6284 0.1216 0.6284
0.8750 0.8750 0.8750
0.8784 0.3716 0.8784
0.0379 0.8547 0.4634
0.1117 0.3628 0.3858
0.1441 0.4634 0.8547
0.1453 0.9621 0.8559
0.3604 0.6142 0.6372
0.3628 0.1117 0.6396
0.3858 0.6396 0.1117
0.4634 0.1441 0.0379
0.5366 0.8559 0.9621
0.6142 0.3604 0.8883
0.6372 0.8883 0.3604
0.6396 0.3858 0.3628
0.8547 0.0379 0.1441
0.8559 0.5366 0.1453
0.8883 0.6372 0.6142
0.9621 0.1453 0.5366
0.0881 0.9099 0.0885
0.0891 0.4096 0.5864
0.0885 0.4135 0.0881
0.0901 0.9119 0.5865
0.1480 0.6636 0.8474
0.1526 0.1589 0.8520
0.1589 0.1526 0.3364
0.1821 0.6459 0.3158
0.3158 0.3563 0.1821
0.3364 0.8520 0.1589
0.3541 0.8179 0.6437
0.3563 0.3158 0.6459
0.4096 0.0891 0.4149
0.4135 0.0885 0.9099
0.4136 0.5851 0.9109
0.4149 0.5864 0.4096
0.5851 0.4136 0.5904
0.5864 0.4149 0.0891
0.5865 0.9115 0.0901
0.5904 0.9109 0.5851
0.6437 0.6842 0.3541
0.6459 0.1821 0.3563
0.6636 0.1480 0.8411
0.6842 0.6437 0.8179
0.8179 0.3541 0.6842
0.8411 0.8474 0.6636
0.8474 0.8411 0.1480
0.8520 0.3364 0.1526
0.9099 0.0881 0.4135
0.9115 0.5865 0.9119
0.9109 0.5904 0.4136
0.9119 0.0901 0.9115
```

---

2.
Computed, not measured: an optimized crystal structure of K3Er at the PBE-GGA level of DFT.

Results
M_tot = 0.58 μB per formula unit
DFT formation energy = 584 meV/atom
'''
Can you please tell me the manufacture and color name of the tile????
Sorry, but I don’t have that info. I didn’t install the tile…it came with the house.